A week ago or so I was going to post a blog about tomato hornworms eating about 20 tomatoes.. I just
got lazy since it was the last week without classes (school starts Monday)..
So Sheila went outside a little bit ago to check out the hornworm
infestation, and low and behold nature had taken it’s course..
Well to start off let me show you what the little bastards did to the tomato

You can see the results of the hornworms snacking..
They ruined about 10-15 other tomatoes in the last 4-5 days.. Those bastards!

If you look closer you can see one of the
bastards having a snack on a tomato that was originally destined to be made into salsa or something tasty..
So it turns out the hornworm has a
natural predator.. Some wasp that feeds off of the hornworms.. Sweet sweet parasites..

What comes next are molecular data, not part of the page
+++
# 1
# C25H71Co2N9O16

A molecular structure, C25H71Co2N9O16 at a distorted geometry (ωB97M-V with the def2-TZVPD basis set, the OMol25 dataset).

* Kohn-Sham gap (alpha / beta): 7.256 / 7.216 eV
* net charge: 0
* HOMO energy (alpha / beta): -6.996 / -6.962 eV
* E_LUMO (alpha / beta): 0.3 / 0.3 eV
* expectation value of S²: 12.01
* spin multiplicity: 7

Each line ends with the Löwdin spin population.
Atoms and positions in Å:
Co 0.152 0.563 -0.087  2.786
Co -2.996 -0.211 1.024  2.774
O -4.504 1.307 1.411  0.056
C -3.881 2.551 1.087  0.006
C -2.581 2.675 0.134  0.007
O -1.719 1.588 0.117  0.072
H -3.470 2.968 2.006  0.000
H -4.599 3.324 0.815  0.002
H -2.102 3.655 0.154  0.000
H -2.952 2.504 -0.876  0.001
O -1.160 -1.140 0.522  0.074
C -0.363 -2.297 0.675  0.006
C 1.227 -2.168 0.415  0.005
O 1.720 -0.895 -0.086  0.043
H -0.836 -2.843 -0.141  0.000
H -0.388 -2.727 1.677  0.001
H 1.591 -2.953 -0.249  0.001
H 1.784 -2.518 1.284  0.001
C -5.498 1.895 -2.610  0.000
O -5.951 0.516 -2.614  0.000
C -4.926 -0.389 -3.134  0.002
C -3.828 -0.603 -1.997  0.002
N -4.372 -0.770 -0.602  0.029
C -4.960 -2.082 -0.350  0.002
C -5.047 -2.312 1.207  0.001
O -3.937 -1.816 1.986  0.022
C -3.950 -2.336 3.315  0.005
H -5.819 2.199 -1.614  0.000
H -5.828 2.521 -3.440  0.000
H -4.408 1.911 -2.614  0.000
H -4.493 0.058 -4.029  0.000
H -5.288 -1.368 -3.451  0.000
H -3.166 0.253 -2.127  0.000
H -3.136 -1.305 -2.460  0.000
H -5.141 -0.117 -0.553  0.000
H -4.343 -2.838 -0.835  0.000
H -5.947 -2.066 -0.810  0.001
H -5.243 -3.382 1.286  0.000
H -5.942 -1.839 1.612  0.000
H -4.124 -1.630 4.126  0.000
H -2.866 -2.365 3.426  0.000
H -4.327 -3.354 3.416  0.001
C -0.720 -4.280 5.345  0.000
O -0.404 -2.977 5.776  0.000
C 0.101 -2.137 4.756  0.000
C 0.349 -0.679 5.208  0.000
N 1.289 0.013 4.364  0.001
C 2.600 -0.563 4.138  0.000
C 3.563 0.545 3.816  0.000
O 3.815 1.465 4.836  0.000
C 4.661 2.453 4.319  0.000
H 0.095 -4.577 4.684  0.000
H -1.619 -4.202 4.734  0.000
H -0.638 -5.034 6.128  0.000
H -0.535 -2.075 3.873  0.000
H 1.010 -2.620 4.396  0.000
H 0.795 -0.629 6.201  0.000
H -0.478 0.030 5.241  0.000
H 1.438 0.955 4.696  0.000
H 2.543 -1.348 3.385  0.000
H 3.123 -0.930 5.021  0.000
H 3.118 1.096 2.988  0.000
H 4.447 0.089 3.369  0.000
H 5.541 2.210 3.724  0.000
H 5.038 3.049 5.150  0.000
H 4.048 3.157 3.756  0.000
C -2.289 -0.367 -5.995  0.000
O -1.837 -0.384 -4.687  0.000
C -0.505 -0.837 -4.448  0.001
C -0.177 -0.869 -2.934  0.000
N -0.334 0.425 -2.237  0.028
C 0.602 1.342 -2.880  0.002
C 0.611 2.648 -2.143  0.001
O 1.216 2.429 -0.986  0.019
C 1.372 3.594 -0.256  0.001
H -1.817 0.403 -6.605  0.000
H -3.378 -0.401 -5.953  0.000
H -2.115 -1.356 -6.419  0.000
H 0.223 -0.342 -5.091  0.000
H -0.411 -1.912 -4.597  0.000
H 0.849 -1.192 -2.752  0.000
H -0.719 -1.616 -2.353  0.000
H -1.267 0.674 -2.532  0.001
H 0.307 1.683 -3.872  0.001
H 1.558 0.853 -3.071  0.000
H -0.434 2.934 -2.021  0.000
H 1.164 3.265 -2.852  0.000
H 1.735 4.388 -0.909  0.001
H 2.013 3.509 0.621  0.000
+++

They will soon use that lovely hornworm as a
snack, kill him off, hatch, and eat the remaining hornworms.. How sweet is that?
On to other garden reporting..
The cantaloupes are
finally growing.. I thought we got dud seeds at first, but about 3 weeks ago they started growing.. They aren’t very large yet, but at least there is
fruit that might be edible.

We also got some Jalepenos growing..

So I had been putting it off for most of the year.. My homeowners insurance wasn’t going to get
renewed if I didn’t get a new breaker panel and get rid of the old fuse panels and assorted ancient electrical crap in the house.. I finally got off my
ass, and hired some contractors to install a new panel, and then once they were done I started replacing the old wiring in the house.. I didn’t feel like
dealing with trying to install a main breaker panel.. It took the 3 guys a day, and if I tried I bet I would have been without power for over a week
considering my pace..
I went from this slew of panels..

To this one new breaker panel inside the

Once the inspector signed off on all of the
contractors work and no more inspectors would be sticking their heads around I started removed the old non grounded wiring and put in new 3 prong outlets
and modern wiring.. I am not sure what a contractor would charge but it’s usually ~100 bucks an outlet and I’ve replaced about 15 so far in the house, not
to mention adding some decent lighting in the basement finally..
If you think it looks messy now you should have seen it before..

Check out the pile of old wiring I have removed in
2 days.. I still have a bit more to remove too..

I still have to install some more outlets in the
basement for when I move the washer/dryer down there, but that can wait..
So work has been slow in the last month.. It’s gotten hot, and well that sucks for working outdoors..
The patio is pretty much at a standstill.. I got more sand the other day since we ran out, but a little bit of time outside and it’s too fucking hot.. I
don’t know if it’ll be done when Tori gets here, but we shall see.. I guess between going to Charlotte to visit my grandmother, the beach trip,
recovering from the beach trip, and then my grandmothers funeral I have a pretty good excuse for doing almost nothing the last 3 weeks.. I mean we all
need a break right?
So the dining room has been completely separated from the rest of the house.. I moved all the furniture out, put plastic
sheeting up, and went to town sanding.. I got quite tired of that and started on putting all the plaster washers up.. I think the plaster repair will be
pretty good, my main problem is going to be matching the bumpy-ness of the plaster texture.. I am thinking sanded paint will be the solution..
Since I like to post photos here goes nothin’..

Major plaster crack in the middle of being repaired..
The washers re-attach the loose plaster to the lathing underneath so I can mud over it and make it match..

It’s quite a messy job.. I have given up on getting
the trim down to wood and staining it, but I still need a smooth surface..

This is what much of the paint in the house is like,
so I have to strip it down to the yellow layer, and then sand it smooth to have a good surface..
I think once I get the dining room done, the rest
of the house will go a bit smoother, but it is hard to find the motivation.. I already don’t know what day it is anymore.. It’s been a month and 2 days
since I last had a job, and well it feels good..
So the garden has been growing like crazy.. Tons of Zucchini, etc.. I have learned some good lessons..
Mostly don’t put your tomatoes so damn close together.. Zucchini take up a shit-ton of space.. I’m going to have to learn how to can veggies really
soon.. There are close to 50-100 tomatoes about to be ripe.. I already have a canning pot I used to use as a lobster pot, and my mom gave me my
grandmothers “how to can anything” book from the 50s, so it shouldn’t be too hard..

Look at that insane growth.. Next time I will give
everything more space

Roma Tomatoes..

Baby Watermelon
This just might be the sweetest most awesome thing ever..

The garden is doing awesome.. So far in about 2 weeks I have gotten a ton of fruit from the plants.. I
think there will be a massive abundance of fruit.. I love fried Zucchini, but does anyone have any awesome recipes that use Zucchini? I am not afraid to
try anything.. I’ll make Zucchini Ice Cream if you can convince me it tastes good..
There are finally fruit growing on everything else except the
cantaloupe (which has flowers).. Peppers, Tons of Tomatoes, Watermelon (They are about the size of a silver/Sacajawea dollar now), and carrots.. Well the
carrots may not make it.. The squash are starving them of sun.. Oh well..

Zucchini and a few Cucumbers – Not everything is
present either.. I ate some squash and cucumbers and left a few at Stacey’s..
I didn’t get many photos but here are the few I got that turned out worth a crap..

to become one with the couch isn’t easy.. It’s hot as balls outside, and the AC is about to die in my
house.. So between being done working, abundant downloaded television, Sheila being far far away, and what not it’s been hard to do much useful
I have plenty to do, but alas I screw around watching tv in the morning until it’s too hot to do anything, so I watch more TV to wait until
it cools off.. Maybe spend some time on the internet, blogging about being a bum, and then well it’s evening and it’s time to watch a movie or something..
I can do this for a week or so because it’s my reward for retirement right and it’s OK right? Or am i already slipping very comfortably into my
patchwork shorts.. Maybe I should make a list of shit to do.. It apparently is in my Scorpio nature..
Well I did it.. Today was my last day.. I turned in my badge, laptop, and that’s it.. I am no longer
in the employment pool..
Sorta scary.. Gonna celebrate tonight.. Dave says I’m retiring.. So I am having a retirement party.. We hew!
So the patio on the side of the house.. The weather isn’t cooperating, so since the ground is
saturated it sits again today waiting for dryer times.. So about a month ago Sheila and I found the stone we are going to use.. Fucking beautiful..
So all that is left to do on the patio is to put in the sand, tamp it down like crazy, then start laying down the stones and sweep in some soil..
The digging is all done.. It seemed like it would never end.. So in typical Taylor fashion here are some photos of the progress..

Here is how it started maybe 2-3 months

Partway through digging..

Digging complete..

Foundation of gravel laid down and tamped

The stone we got.. It’s going to be rockin’
whenever I can get out there and finish it up..
So hopefully in a month or less I can have the whole thing finished up, maybe get some Adirondack
chairs and chill out on the cool side of the house reading a book..